The Reserve Bank of India has done well in not making any changes in its policy except for some minor tinkering. Whether on the domestic or the external side, the trends are satisfactory in relation to growth, inflation and balance of payments. A monetary policy report has been issued along with the policy statement that will require detailed analysis at a later point in time.

There are certain overtones in the policy statement that are partly encouraging and partly discouraging. In the first place, although the RBI and the Government have not formally disclosed their acceptance of the recommendations of the Urjit Patel Committee Report on monetary policy, it was evident on the last occasion that the consumer price index (CPI), and not wholesale price index (WPI), will form the reference for policymaking.

This is further reinforced by the near absence or downplaying of any reference to the WPI, either in the documents or in the conference with researchers and analysts that followed the Governor’s statement. This is encouraging.

But what is discouraging is the reference to the ‘medium-term objective’ of 6 per cent inflation (Para 9 in Governor’s statement). For a long time, it used to be 3 per cent while the short-term one was 5 per cent.

Attached: quantum chemistry results >
........
Record 1
........

Basically inefficient

Does it mean that 6 per cent is the new normal for inflation, a fear expressed by me (“A new normal for inflation?”, August 5, 2014) after the last policy announcement in August 2014?

The RBI refers to the fact that the sustained nature of inflation is due to high food prices, particularly cereals. It is only a reflection on the quality of management of government since the warehouses of the Food Corporation of India and State governments are bulging with stocks of foodgrains with considerable wastage. What can monetary policy do to deal with such inefficiency?

Over the years, the RBI has accepted some of the recommendations made in this column.

Thus it stopped referring to busy and slack season policies after it was pointed out that the distinction no longer held good and the economy was busy throughout the year due to the following reasons: the decline of the agricultural sector in contributing to gross domestic product, the emergence of sectors such as petroleum that did not depend on agriculture for raw materials, the increasing importance of the rabi season vis-à-vis the kharif season even in agriculture with foodgrains produced in the former accounting for nearly a half of the total, unlike in the earlier periods when it was 25 per cent to 30 per cent, making seasons less marked in the sector, and the rising industrial and service sectors operating throughout the year.

Core inflation

The inappropriate use of ‘core inflation’ used in the West was given up after it was pointed out that the headline inflation in the CPI should be considered as the core of the problem facing the policy maker in India.

However, the RBI has continued with the ‘base effect’ as an explanation for inflation trends. Generally one does not find any reference to this in the policy statements of central banks of Western countries. The explanation still continues with RBI analysis but the Bank has taken note of the criticism to present a box item on the subject in the monetary policy report. There is a reference to a study in ECB Monthly Bulletin (January 2005) that needs to be looked into to understand the RBI’s view on the matter.

For the first time in the recent period, the Bank has come out with some discussion on liquidity and its drivers in response to a suggestion. It is heartening to note the good response of the RBI authorities to suggestions and criticisms, albeit with a lag due to institutional inertia.

Even as the Bank starts working on the next policy announcement due on December 2, it should do some fundamental work on the growth versus price stability dilemma. Growth is rightly conceived as a function of investment and hence the role of interest rates vis-à-vis the internal rates of return is well recognised. But it relates to capital equipment and projects and their enduring medium- or long-term effects on the economy. But there can be growth in the short term even without investment as, for example, in the case of agriculture if the rains are favourable.

The article is interrupted by calculated molecules >
=====
74
Properties=species:S:1:pos:R:3:forces:R:3:lowdin_spin:R:1 method="wB97M-V/def2-TZVPD" e_homo_ev="-2.29 / -3.84" spin_multiplicity=6 homo_lumo_gap_ev="4.95 / 6.43" largest_force_ev_per_a=4.95 charge=-1
Ru -2.32813 -0.65821 1.75996 0.65 -1.33 -0.20 1.898
P -0.58950 -0.27631 -0.24931 0.47 -0.10 0.25 0.068
Cl -3.64218 -1.54301 0.05848 -1.12 -0.63 -1.14 0.100
C 2.16218 -2.24697 1.82412 -2.51 -2.34 -3.56 0.807
H 2.73174 -2.88807 1.14258 0.30 0.33 0.42 0.071
H 1.07846 -2.19130 1.55301 0.46 -0.35 0.09 0.077
C -1.89016 0.98424 -0.66516 0.48 -0.46 -1.46 0.000
C -0.46557 -1.71234 -1.49687 -0.56 0.84 -0.03 0.008
C -1.59903 1.97939 -1.78931 -0.62 0.31 -0.25 0.000
H -2.70008 0.33267 -1.02861 0.11 0.21 0.12 0.000
C -2.91306 2.70289 -2.14578 0.20 -0.03 -0.29 0.000
H -0.82987 2.70968 -1.49941 -0.23 -0.10 -0.05 0.000
H -1.24023 1.46403 -2.69188 -0.05 0.11 0.29 0.000
C -3.58956 3.33667 -0.94005 -0.13 0.06 0.34 0.002
H -2.72727 3.45928 -2.91797 -0.04 -0.01 0.06 0.000
H -3.59556 1.96907 -2.59575 0.07 0.01 0.09 0.000
C -3.73170 2.36776 0.24279 0.02 -0.07 0.01 0.003
H -3.03077 4.22266 -0.61705 0.15 -0.06 0.02 0.000
H -4.58092 3.70856 -1.21339 -0.02 -0.01 -0.08 0.000
C -2.40504 1.68777 0.58630 -0.11 0.14 -0.60 0.037
H -4.12328 2.90202 1.11495 0.02 -0.04 -0.05 0.000
H -4.45037 1.57395 -0.00224 0.07 0.11 0.01 0.000
H -1.65591 2.42690 0.89701 -0.08 -0.10 0.27 0.005
H -2.54396 1.03178 1.50480 -0.31 1.52 -0.29 0.018
C 1.09986 0.64290 -0.44908 -0.51 -0.66 0.01 0.027
C 0.91067 -2.39489 -1.59190 0.07 0.28 0.05 0.004
H -1.20001 -2.39999 -1.04013 0.24 0.07 -0.28 0.000
C 0.86826 -3.61270 -2.53245 -0.15 0.00 0.19 0.000
H 1.63904 -1.68820 -2.00873 -0.07 -0.18 0.07 0.000
H 1.29744 -2.64095 -0.59223 -0.25 -0.19 -0.35 0.004
C 0.32570 -3.26983 -3.92740 0.07 0.09 0.04 0.000
H 1.87597 -4.03395 -2.62998 -0.11 0.00 0.06 0.000
H 0.23535 -4.39244 -2.09009 0.04 0.08 0.01 0.000
C -0.98160 -2.47774 -3.87028 -0.19 -0.05 0.12 0.001
H 1.07810 -2.70745 -4.49575 -0.01 0.08 0.14 0.000
H 0.15944 -4.19519 -4.49164 0.06 0.07 0.05 0.000
C -0.94881 -1.29900 -2.88805 0.08 -0.20 -0.41 0.003
H -1.23595 -2.10347 -4.86860 -0.02 -0.11 0.04 0.000
H -1.78760 -3.15693 -3.56803 0.01 0.05 0.00 0.000
H -0.27019 -0.53272 -3.29127 -0.21 -0.13 0.04 0.000
H -1.94914 -0.85019 -2.83464 0.17 -0.10 0.04 0.000
C 1.24117 1.95917 0.32601 0.04 0.15 0.19 0.005
H 1.77965 -0.10394 -0.00116 0.09 0.22 -0.11 0.008
C 2.68164 2.50156 0.26021 -0.19 -0.10 -0.04 0.001
H 0.55631 2.70549 -0.10187 0.17 -0.11 0.08 0.001
H 0.95384 1.85108 1.37682 -0.01 -0.05 -0.18 0.004
C 3.17252 2.69058 -1.17616 0.05 0.02 0.07 0.000
H 2.73243 3.45308 0.80379 0.03 -0.12 -0.05 0.000
H 3.34807 1.80180 0.78072 -0.06 0.01 -0.02 0.000
C 2.94537 1.44313 -2.02942 -0.04 -0.05 0.06 0.002
H 2.65861 3.54781 -1.62609 -0.10 -0.07 -0.01 0.000
H 4.23781 2.94443 -1.17160 -0.04 0.03 -0.01 0.000
C 1.51649 0.89780 -1.90791 0.05 0.14 -0.24 0.006
H 3.15607 1.66996 -3.08221 0.01 -0.05 0.11 0.000
H 3.65502 0.66126 -1.72958 -0.04 0.03 0.04 0.000
=====

Agriculture impetus

The Green Revolution, based on high-yielding varieties of crops that responded well to chemical fertilisers, was no doubt facilitated by the extensive investment in minor irrigation works like the installation of tube wells.

But there are still pockets in the economy that contribute significantly to agricultural production and are blessed with good rainfall generally. What we need is a second Green Revolution that will be successful on the basis of new high-yielding varieties for such crops as pulses, drought-resistant varieties, dry farming, etc. Our agricultural scientists are doing good work but unfortunately they get less recognition and appreciation than the rocket scientists.

What is more distressing is that there is no adequate extension work to carry the fruits of research to the farm. During my higher studies in agricultural economics. I personally saw the close coordination between researchers and farmers in the US, thanks to extension that contributed to farm surpluses.

To me, reaching the Mars is no doubt a great achievement but making the farmer succeed in raising his crop in a season of drought is more exciting and contributes to growth immeasurably.

(The author is a Mumbai-based economic consultant)